Wanted
What is needed: reproduce the calculation results further down from the line with "2.777" to the end character by character.

Entries
'''
(1)
Starting from a cell relaxed with GGA-PBE, the powder diffractogram of AcPaTiO6 was computed for Cu Kα.
Neutral-atom scattering factors, no anomalous dispersion.

Peak list (6 most intense, 10 to 90 degrees two-theta, sorted by position)
| Position (°2θ) | d_spacing | I_rel | h k l |
| --- | --- | --- | --- |
| 19.30 | 4.598 | 34 | 1 0 1 |
| 24.55 | 3.625 | 100 | 1 1 0 |
| 31.15 | 2.871 | 93 | 1 0 3 |
| 35.00 | 2.564 | 27 | 2 0 0 |
| 47.55 | 1.912 | 71 | 2 1 3 |
| 60.39 | 1.533 | 20 | 3 0 3 |

Lattice parameters (Å, degrees): 5.1271 5.1271 10.3968 90.00 90.00 90.00
Space group P4_2nm (No. 102)
Symmetry-distinct sites (fractional):
Ac 0.0000 0.0000 0.0000 [2 per cell]
Pa 0.0000 0.0000 0.6642 [2 per cell]
Ti 0.0000 0.0000 0.3360 [2 per cell]
O 0.1682 0.1682 0.4807 [4 per cell]
O 0.2075 0.2075 0.1866 [4 per cell]
O 0.2285 0.2285 0.8068 [4 per cell]


(2)
Starting from a cell relaxed with GGA-PBE, the powder diffractogram of Ac6PbO12 was computed for Cu Kα.
Neutral-atom scattering factors, no anomalous dispersion.

Peak list (6 most intense, 10 to 90 degrees two-theta, sorted by position)
| Position (°2θ) | d_spacing | I_rel | h k l |
| --- | --- | --- | --- |
| 25.94 | 3.435 | 34 | 0 0 3 |
| 26.46 | 3.368 | 100 | 2 1 1 |
| 30.50 | 2.931 | 52 | 3 -2 2 |
| 43.33 | 2.088 | 31 | 2 1 4 |
| 44.00 | 2.058 | 29 | 1 4 0 |
| 51.79 | 1.765 | 29 | 5 -1 3 |

Lattice parameters (Å, degrees): 10.8889 10.8889 10.3054 90.00 90.00 120.00
Space group R-3 (No. 148, hexagonal axes)
Symmetry-distinct sites (fractional):
Ac 0.0514 0.2581 0.1546 [18 per cell]
Pb 0.0000 0.0000 0.5000 [3 per cell]
O 0.0388 0.2274 0.9042 [18 per cell]
O 0.0426 0.1987 0.3946 [18 per cell]


(3)
Starting from a cell relaxed with GGA-PBE, the powder diffractogram of Ac2Pb2O7 was computed for Cu Kα.
Neutral-atom scattering factors, no anomalous dispersion.

Peak list (6 most intense, 10 to 90 degrees two-theta, sorted by position)
| Position (°2θ) | d_spacing | I_rel | h k l |
| --- | --- | --- | --- |
| 27.29 | 3.267 | 100 | 2 2 2 |
| 31.62 | 2.830 | 40 | 4 0 0 |
| 45.32 | 2.001 | 47 | 4 4 0 |
| 53.72 | 1.706 | 48 | 6 2 2 |
| 72.85 | 1.298 | 20 | 6 6 2 |
| 75.06 | 1.265 | 17 | 8 4 0 |

Lattice parameters (Å, degrees): 11.3185 11.3185 11.3185 90.00 90.00 90.00
Space group Fd-3m (No. 227, origin choice 2)
Symmetry-distinct sites (fractional):
Ac 0.0000 0.0000 0.0000 [16 per cell]
Pb 0.0000 0.0000 0.5000 [16 per cell]
O 0.0867 0.3750 0.8750 [48 per cell]
O 0.1250 0.1250 0.1250 [8 per cell]


(4)
Starting from a cell relaxed with GGA-PBE, the powder diffractogram of Ac2Pb3O8 was computed for Cu Kα.
Neutral-atom scattering factors, no anomalous dispersion.

Peak list (6 most intense, 10 to 90 degrees two-theta, sorted by position)
| Position (°2θ) | d_spacing | I_rel | h k l |
| --- | --- | --- | --- |
| 21.74 | 4.088 | 30 | 2 0 -1 |
| 27.33 | 3.263 | 32 | 3 1 0 |
| 28.17 | 3.168 | 100 | 0 2 1 |
| 30.68 | 2.914 | 28 | 3 1 -1 |
| 30.88 | 2.896 | 37 | 0 0 2 |
| 32.24 | 2.777 | 39 | 3 1 1 |

Lattice parameters (Å, degrees): 10.8700 7.5679 5.8026 90.00 93.58 90.00
Space group C2 (No. 5)
Symmetry-distinct sites (fractional):
Ac 0.1863 0.0000 0.4797 [4 per cell]
Pb 0.0000 0.2431 0.0000 [2 per cell]
Pb 0.0000 0.5131 0.5000 [2 per cell]
Pb 0.0000 0.7464 0.0000 [2 per cell]
O 0.0451 0.9818 0.7833 [4 per cell]
O 0.1174 0.5565 0.8098 [4 per cell]
O 0.1294 0.3088 0.3864 [4 per cell]
O 0.1322 0.6998 0.3126 [4 per cell]


(5)
Starting from a cell relaxed with GGA-PBE, the powder diffractogram of Ac6Pb3O was computed for Cu Kα.
Neutral-atom scattering factors, no anomalous dispersion.

Peak list (6 most intense, 10 to 90 degrees two-theta, sorted by position)
| Position (°2θ) | d_spacing | I_rel | h k l |
| --- | --- | --- | --- |
| 20.96 | 4.238 | 30 | 2 2 1 |
| 28.82 | 3.098 | 100 | 3 3 1 |
| 31.54 | 2.836 | 60 | 3 1 2 |
| 32.06 | 2.792 | 52 | 0 4 2 |
| 34.53 | 2.597 | 28 | 3 5 0 |
| 41.62 | 2.170 | 34 | 6 0 0 |

Lattice parameters (Å, degrees): 13.0213 16.2087 7.7032 90.00 90.00 90.00
'''

Response
| 32.24 | 2.777 | 39 | 3 1 1 |

Lattice parameters (Å, degrees): 10.8700 7.5679 5.8026 90.00 93.58 90.00
Space group C2 (No. 5)
Symmetry-distinct sites (fractional):
Ac 0.1863 0.0000 0.4797 [4 per cell]
Pb 0.0000 0.2431 0.0000 [2 per cell]
Pb 0.0000 0.5131 0.5000 [2 per cell]
Pb 0.0000 0.7464 0.0000 [2 per cell]
O 0.0451 0.9818 0.7833 [4 per cell]
O 0.1174 0.5565 0.8098 [4 per cell]
O 0.1294 0.3088 0.3864 [4 per cell]
O 0.1322 0.6998 0.3126 [4 per cell]


(5)
Starting from a cell relaxed with GGA-PBE, the powder diffractogram of Ac6Pb3O was computed for Cu Kα.
Neutral-atom scattering factors, no anomalous dispersion.

Peak list (6 most intense, 10 to 90 degrees two-theta, sorted by position)
| Position (°2θ) | d_spacing | I_rel | h k l |
| --- | --- | --- | --- |
| 20.96 | 4.238 | 30 | 2 2 1 |
| 28.82 | 3.098 | 100 | 3 3 1 |
| 31.54 | 2.836 | 60 | 3 1 2 |
| 32.06 | 2.792 | 52 | 0 4 2 |
| 34.53 | 2.597 | 28 | 3 5 0 |
| 41.62 | 2.170 | 34 | 6 0 0 |

Lattice parameters (Å, degrees): 13.0213 16.2087 7.7032 90.00 90.00 90.00